Reproduce only the last part of the rows underneath, starting with the line that has "-1.62844 -3.24191", please.
=====
No. 1
# C34H24IN6OPPdSe

C34H24IN6OPPdSe as an isolated structure (the ωB97M-V functional and the def2-TZVPD basis, OMol25).

Structure (XYZ):
```
69
Properties=species:S:1:pos:R:3:nbo_charge:R:1
I -2.67710 -5.68595 3.51341 0.261
Pd -1.19075 -0.52666 0.13574 0.664
Se -0.27981 3.49332 6.57633 1.065
P 0.41804 0.05148 -1.54055 1.144
O -3.21176 -0.78661 -2.12085 -0.361
N -0.91033 -4.05732 0.06439 -0.321
N 0.69996 2.28639 5.73087 -0.590
N -1.61414 3.38913 5.42086 -0.587
N 0.11676 -0.25402 1.67672 -0.460
N -1.05607 -2.89974 0.73279 -0.378
N -2.40445 0.73764 1.46681 -0.515
C 2.10101 -0.45198 -1.13179 -0.439
C 1.52121 2.46572 -2.35998 -0.191
C 3.84966 -2.10867 -1.13561 -0.213
C 4.18582 -0.00986 -0.00733 -0.202
C -1.83659 -4.62583 1.95991 -0.305
C -0.65047 3.97954 -1.50090 -0.218
C -0.48129 -1.96629 -3.21199 -0.152
C -3.43196 2.59505 3.25076 -0.085
C 0.42044 4.59161 -2.13521 -0.158
C 1.68752 0.20472 3.90635 -0.092
C 0.01406 1.89817 4.68642 0.079
C -1.62844 -3.24191 1.88410 -0.050
C 0.48981 0.90561 3.73495 0.003
C -1.27178 2.50943 4.51462 0.106
C -0.75076 -2.56169 -4.43213 -0.221
C 0.44337 1.84323 -1.72393 -0.451
C -0.07130 -0.54481 -5.55265 -0.186
C 2.91075 0.39347 -0.37053 -0.193
C -0.63856 2.60869 -1.29214 -0.124
C -2.47137 -0.62007 -1.29699 0.620
C -0.54014 -1.84890 -5.60585 -0.147
C 0.20595 0.05206 -4.33069 -0.171
C 1.50482 3.83537 -2.56289 -0.183
C -3.64670 1.18757 1.33821 0.068
C 1.23227 -0.94906 1.87055 0.101
C -4.19610 2.12643 2.20626 -0.222
C -2.12934 2.11612 3.40713 -0.078
C 4.65371 -1.26265 -0.38276 -0.166
C -0.30129 0.62394 2.62459 0.142
C 2.04064 -0.75343 2.98387 -0.235
C 2.57846 -1.70541 -1.51506 -0.137
C -1.35519 -5.11573 0.76924 -0.032
C 0.00978 -0.66284 -3.15098 -0.447
C -1.64095 1.19271 2.48336 0.233
H 4.22115 -3.07578 -1.44658 0.239
H 5.65116 -1.57394 -0.10243 0.241
H 0.56229 1.07255 -4.30508 0.234
H 1.97668 -2.35735 -2.13538 0.218
H 2.55315 1.37112 -0.07058 0.233
H -1.28792 -6.12191 0.39083 0.253
H -0.68703 -2.50300 -2.29393 0.181
H -5.21273 2.46060 2.05709 0.257
H -1.47216 2.13621 -0.78623 0.198
H -0.75503 -2.30762 -6.56139 0.240
H -4.23087 0.79124 0.51792 0.215
H 0.07689 0.01552 -6.46569 0.241
H 2.93895 -1.34319 3.09380 0.256
H -1.87002 -2.49245 2.62166 0.222
H 4.81695 0.65731 0.56482 0.238
H 1.48338 -1.67946 1.11478 0.238
H 2.37036 1.88382 -2.69670 0.233
H -1.49373 4.56948 -1.16796 0.233
H 2.33960 4.31389 -3.05680 0.240
H 0.41330 5.66117 -2.29641 0.240
H -0.43241 -4.07928 -0.81908 0.416
H -3.81981 3.31307 3.96127 0.263
H 2.29745 0.41142 4.77605 0.263
H -1.13703 -3.57142 -4.47139 0.234
```

Multiplicity: 1
LUMO (eV): -6.6
Calculated total energy (eV): -132838.77807
Strongest force on any atom (eV/A): 1.0
Net charge: +2
E_HOMO (hartree): -0.49145
Kohn-Sham gap (eV): 6.768
Molecular weight (g/mol): 875.87
Energy above the lowest of the compared OMol25 structures with the same formula, charge and spin (kJ/mol): 0.00

***

No. 2
# C34H24N8O7

A 2-piece molecular cluster, C34H24N8O7 overall (the ωB97M-V functional and the def2-TZVPD basis, OMol25).

Structure (XYZ):
```
73
Properties=species:S:1:pos:R:3:mulliken_charge:R:1
O 5.53285 -0.52317 5.63946 -0.694
O -0.27332 0.66595 2.96945 -0.590
O 6.31991 -1.07996 3.58269 -0.209
O 5.32261 -0.80454 -0.53385 -0.560
O -0.17750 -1.47082 1.30759 -0.460
O 4.03947 0.91662 -0.96595 -0.484
O 1.17100 1.21294 4.66343 -0.263
N 4.45586 0.02075 -0.18083 1.002
N 2.51142 1.02835 4.97431 -0.582
N -0.54391 1.50867 -0.62258 1.111
N 5.33197 -0.50520 4.44165 0.845
N -1.70383 2.04173 -1.11720 -1.491
N 5.98721 -0.97391 2.27871 -0.434
N 0.88226 0.70586 3.35874 0.810
N -2.13594 0.15407 0.00718 0.491
C -0.43957 -2.89473 1.21955 -1.049
C -6.43986 1.17064 -1.03574 -0.712
C 3.30161 -2.38073 -0.99445 -0.859
C 4.78169 -0.31761 2.28313 0.978
C 3.88774 -0.06894 1.18234 -0.903
C 1.59837 2.44096 0.10283 -0.072
C -4.03765 1.46266 -1.08070 0.590
C -3.13464 -1.71177 -1.18125 0.308
C 2.84789 2.94967 -0.26607 -0.105
C 1.85883 3.65441 -2.36047 -0.555
C 0.69211 2.93501 -2.08194 -0.720
=====
C -1.62844 -3.24191 1.88410 -0.050
C 0.48981 0.90561 3.73495 0.003
C -1.27178 2.50943 4.51462 0.106
C -0.75076 -2.56169 -4.43213 -0.221
C 0.44337 1.84323 -1.72393 -0.451
C -0.07130 -0.54481 -5.55265 -0.186
C 2.91075 0.39347 -0.37053 -0.193
C -0.63856 2.60869 -1.29214 -0.124
C -2.47137 -0.62007 -1.29699 0.620
C -0.54014 -1.84890 -5.60585 -0.147
C 0.20595 0.05206 -4.33069 -0.171
C 1.50482 3.83537 -2.56289 -0.183
C -3.64670 1.18757 1.33821 0.068
C 1.23227 -0.94906 1.87055 0.101
C -4.19610 2.12643 2.20626 -0.222
C -2.12934 2.11612 3.40713 -0.078
C 4.65371 -1.26265 -0.38276 -0.166
C -0.30129 0.62394 2.62459 0.142
C 2.04064 -0.75343 2.98387 -0.235
C 2.57846 -1.70541 -1.51506 -0.137
C -1.35519 -5.11573 0.76924 -0.032
C 0.00978 -0.66284 -3.15098 -0.447
C -1.64095 1.19271 2.48336 0.233
H 4.22115 -3.07578 -1.44658 0.239
H 5.65116 -1.57394 -0.10243 0.241
H 0.56229 1.07255 -4.30508 0.234
H 1.97668 -2.35735 -2.13538 0.218
H 2.55315 1.37112 -0.07058 0.233
H -1.28792 -6.12191 0.39083 0.253
H -0.68703 -2.50300 -2.29393 0.181
H -5.21273 2.46060 2.05709 0.257
H -1.47216 2.13621 -0.78623 0.198
H -0.75503 -2.30762 -6.56139 0.240
H -4.23087 0.79124 0.51792 0.215
H 0.07689 0.01552 -6.46569 0.241
H 2.93895 -1.34319 3.09380 0.256
H -1.87002 -2.49245 2.62166 0.222
H 4.81695 0.65731 0.56482 0.238
H 1.48338 -1.67946 1.11478 0.238
H 2.37036 1.88382 -2.69670 0.233
H -1.49373 4.56948 -1.16796 0.233
H 2.33960 4.31389 -3.05680 0.240
H 0.41330 5.66117 -2.29641 0.240
H -0.43241 -4.07928 -0.81908 0.416
H -3.81981 3.31307 3.96127 0.263
H 2.29745 0.41142 4.77605 0.263
H -1.13703 -3.57142 -4.47139 0.234
```

Multiplicity: 1
LUMO (eV): -6.6
Calculated total energy (eV): -132838.77807
Strongest force on any atom (eV/A): 1.0
Net charge: +2
E_HOMO (hartree): -0.49145
Kohn-Sham gap (eV): 6.768
Molecular weight (g/mol): 875.87
Energy above the lowest of the compared OMol25 structures with the same formula, charge and spin (kJ/mol): 0.00

***

No. 2
# C34H24N8O7

A 2-piece molecular cluster, C34H24N8O7 overall (the ωB97M-V functional and the def2-TZVPD basis, OMol25).

Structure (XYZ):
```
73
Properties=species:S:1:pos:R:3:mulliken_charge:R:1
O 5.53285 -0.52317 5.63946 -0.694
O -0.27332 0.66595 2.96945 -0.590
O 6.31991 -1.07996 3.58269 -0.209
O 5.32261 -0.80454 -0.53385 -0.560
O -0.17750 -1.47082 1.30759 -0.460
O 4.03947 0.91662 -0.96595 -0.484
O 1.17100 1.21294 4.66343 -0.263
N 4.45586 0.02075 -0.18083 1.002
N 2.51142 1.02835 4.97431 -0.582
N -0.54391 1.50867 -0.62258 1.111
N 5.33197 -0.50520 4.44165 0.845
N -1.70383 2.04173 -1.11720 -1.491
N 5.98721 -0.97391 2.27871 -0.434
N 0.88226 0.70586 3.35874 0.810
N -2.13594 0.15407 0.00718 0.491
C -0.43957 -2.89473 1.21955 -1.049
C -6.43986 1.17064 -1.03574 -0.712
C 3.30161 -2.38073 -0.99445 -0.859
C 4.78169 -0.31761 2.28313 0.978
C 3.88774 -0.06894 1.18234 -0.903
C 1.59837 2.44096 0.10283 -0.072
C -4.03765 1.46266 -1.08070 0.590
C -3.13464 -1.71177 -1.18125 0.308
C 2.84789 2.94967 -0.26607 -0.105
C 1.85883 3.65441 -2.36047 -0.555
C 0.69211 2.93501 -2.08194 -0.720